16.07.2019 3:06

_Here the article breaks off for data records_
~~~
! Gd3Y13O24 PBE-GGA optimized geometry; values from VASP
! crystal system = triclinic
! calculated total energy = -9.67 eV/atom
! space group = P1 (1)
! formation enthalpy at 0 K = -3956 meV/atom
&SYSTEM
  ibrav = 0, nat = 40, ntyp = 3
/
ATOMIC_SPECIES
Gd 157.25 Gd.upf
Y 88.91 Y.upf
O 16.00 O.upf
CELL_PARAMETERS angstrom
9.2853 0.0000 0.0000
-3.0947 8.7658 0.0000
-3.0951 -4.3829 7.5914
ATOMIC_POSITIONS angstrom
Gd -1.3522 7.5294 1.6577
Gd 4.8458 -0.1455 4.0409
Gd 4.4417 3.0110 5.6908
Y -1.5473 4.3742 0.0050
Y -1.3462 1.3882 1.8968
Y 1.7507 2.0600 0.2515
Y -1.7465 4.5235 3.5486
Y 4.4357 -3.1447 5.9469
Y 4.4399 3.4391 2.1372
Y 1.5381 2.2027 3.7945
Y -4.6406 6.5733 3.7960
Y 1.3407 -1.3859 5.7023
Y -1.5407 4.3855 7.5870
Y 1.7553 5.7610 1.8918
Y -1.3359 0.9488 5.4446
Y 1.3364 2.3335 7.3397
O 6.6717 3.2851 1.7340
O 4.1037 2.2366 0.2408
O 6.6589 6.4130 0.0830
O -0.7425 2.5167 3.8813
O 4.0987 5.6692 1.7385
O -0.8717 5.1965 5.5374
O 0.7335 -1.9663 3.5771
O 0.8645 0.8432 2.0651
O 3.5699 -0.9630 5.7951
O 2.0912 3.5203 1.9775
O -3.9601 4.3971 4.0957
O 6.9287 0.0922 0.3242
O 7.0865 -0.0086 3.4733
O 1.0073 0.8642 5.6067
O -3.8240 4.3186 7.2713
O -0.4755 5.3171 1.8212
O 2.3610 6.3205 4.0349
O 2.1983 3.5620 5.5297
O -1.0077 -1.2816 5.8530
O 3.9841 -0.8278 2.0331
O -3.5764 -2.0509 7.5081
O 3.8207 1.8807 3.6945
O -1.0025 2.1484 7.3468
O -3.5638 1.0871 5.8743

! Gd3YO6 PBE-GGA optimized geometry; values from VASP
! crystal system = trigonal
! M_tot = 21.00 μB per formula unit
! calculated total energy = -11.32 eV/atom
! space group = R-3 (148)
! formation enthalpy at 0 K = -3898 meV/atom
! offset from the most stable computed form = 0 meV per atom
&SYSTEM
  ibrav = 0, nat = 20, ntyp = 3
/
ATOMIC_SPECIES
Gd 157.25 Gd.upf
Y 88.91 Y.upf
O 16.00 O.upf
CELL_PARAMETERS angstrom
-2.9468 5.7466 2.2017
0.8452 -2.2544 6.3842
6.1662 2.9212 -0.0024
ATOMIC_POSITIONS angstrom
Gd 1.3221 3.4821 7.6293
Gd 5.1042 3.5997 5.7506
Gd 1.8382 -0.1578 3.6906
Gd 2.2263 6.5712 4.8930
Gd -1.0397 2.8137 2.8330
Gd 2.7424 2.9313 0.9543
Y 0.0000 0.0000 0.0000
Y 2.0323 3.2067 4.2918
O 2.5001 -0.7326 5.9433
O -0.6630 2.1139 7.4549
O 3.0086 2.6067 6.2371
O 6.0483 1.7063 4.5815
O 0.9928 4.7029 5.6255
O 0.4076 1.6390 4.2731
O 3.6569 4.7745 4.3105
O 3.0717 1.7105 2.9581
O -1.9838 4.7072 4.0021
O 1.0559 3.8067 2.3464
O 4.7275 4.2996 1.1287
O 1.5644 7.1460 2.6403

! Gd3YO6 PBE-GGA optimized geometry; values from VASP
! crystal system = orthorhombic
! M_tot = 21.00 μB per formula unit
! calculated total energy = -11.25 eV/atom
! space group = Cmc2_1 (36)
! formation enthalpy at 0 K = -3824 meV/atom
! offset from the most stable computed form = 73 meV per atom
&SYSTEM
  ibrav = 0, nat = 20, ntyp = 3
/
ATOMIC_SPECIES
Gd 157.25 Gd.upf
Y 88.91 Y.upf
O 16.00 O.upf
CELL_PARAMETERS angstrom
4.5596 -5.6599 0.0000
4.5596 5.6599 0.0000
0.0000 0.0000 5.7838
ATOMIC_POSITIONS angstrom
Gd 1.8314 1.2724 2.6869
Gd 1.8314 -1.2724 5.5788
Gd 4.5596 -1.1556 2.3757
Gd 4.5596 1.1556 5.2676
Gd 7.2878 1.2724 2.6869
~~~

Fuchsia OS: What Do We Know About New Operating System from Google?

For a long time nothing was heard about the new operating system Fuchsia OS from Google. The search giant was silent and did not tell any details about the new OS. However, some days ago Google quietly and silently launched the website for Fuchsia OS developers.

First, you should understand that Fuchsia will not be a replacement for Android. At least that’s what Google representatives are saying right now. The new open source operating system is created by Google as some kind of new platform. It will simply combine some products.

We don’t know much about Fuchsia OS, and there is already some interesting information. We want to discuss them with you.

Fuchsia OS: New operating system instead of Android?

Fuchsia OS: Specifications

When we first heard about Fuchsia, many people began to say that era of Android is over. Android users were afraid that their smartphones would no longer be updated. However, Google assured that they are not going stop developing operating systems, such as Android and Chrome OS.

Fuchsia OS, according to Google, is a new vision of operating systems. The company also plans to introduce some functions of Fuchsia into Android and Chrome OS.

Fuchsia OS: New operating system instead of Android?

Fuchsia is an operating system based on Zircon kernel, not Linux, like Android and Chrome OS. The feature of this kernel is that the entire system requires fewer lines of code. It allows the system to work as quickly and smoothly as possible.

As for interface, it is built on Flutter engine. Thanks to the algorithms for processing and rendering applications on Fuchsia OS, the operating system has a very smooth rendering and it works at 120 Hz.

Google’s plans include creating an ecosystem based on Fuchsia OS. Of course, other Google operating systems are also involved in this project.

At this stage, Google is already actively developing Fuchsia operating system.

Fuchsia OS: New operating system instead of Android?

Recently, the search giant launched a portal for developers. There is already a lot of useful information, and developers can find everything they need to understand the system itself and how Fuchsia OS works.

It is also known that Fuchsia OS will support Android apps. It is really important, because it is very difficult to create an army of developers to create apps specifically for Fuchsia.

Fuchsia OS: New operating system instead of Android?

Fuchsia OS: Release date

We still don’t know the release date of Fuchsia OS. Most likely, we will see the first version of operating system no earlier than mid-2020.

We are also very interested in devices that will run on Fuchsia OS. It is known that both smartphones and PCs will support new operating system. Perhaps, it will be the first operating system for all gadgets, such as tablets, laptops, PCs, smartphones and others. It is very interesting, because you can start to work on one gadget and continue on the other.